**Activity**
Your job: return only the lines underneath with the word "Cell" in them.
**Given**
********
First-principles (GGA-PBE) data for a geometry-optimized GaHO2 structure, as listed in the Materials Project database.

Results
E_form: -1.899 eV per atom
MP2020-corrected energy: -95.654 eV per cell

Lattice parameters (Å, degrees): 9.9228 3.0167 4.5678 90.00 90.00 90.00
Space group Pnma (No. 62)
One atom of each set of equivalent atoms:
1 Ga 0.1450 0.2500 0.0513
2 H 0.0880 0.7500 0.5946
3 O 0.0552 0.7500 0.8044
4 O 0.1942 0.7500 0.3006

First-principles (GGA-PBE) data for a geometry-optimized ScSnPt structure, as listed in the Materials Project database.

Results
E_form: -0.994 eV per atom

Lattice parameters (Å, degrees): 7.4565 7.4565 3.7363 90.00 90.00 120.00
Space group P-62m (No. 189)
One atom of each set of equivalent atoms:
1 Sc 0.0000 0.6022 0.0000
2 Sn 0.0000 0.2686 0.5000
3 Pt 0.0000 0.0000 0.0000
4 Pt 0.3333 0.6667 0.5000

Density? In order: 4.99; 9.93 g/cm³.
Electronic total energy? In order: -5.635; -6.465 eV/atom.

* * * * *

Material: Ca5Ir
Method: DFT, PBE
State: relaxed

The calculated total energy is -81.187 eV/cell. Its crystal system is orthorhombic.

Cell and atoms, written as extended XYZ:
```
24
Lattice="6.799 0.000 0.000 0.000 7.645 0.000 0.000 0.000 15.779" Properties=species:S:1:pos:R:3 pbc="T T T"
Ca 1.043 0.716 3.945
Ca 5.831 1.471 8.940
Ca 5.756 6.929 11.834
Ca 5.597 3.563 2.288
Ca 1.202 4.082 10.178
Ca 2.432 2.351 1.051
Ca 2.356 4.539 3.945
Ca 5.597 3.563 5.601
Ca 2.198 0.260 13.490
Ca 0.968 6.174 1.051
Ca 4.367 5.294 8.940
Ca 4.601 7.386 5.601
Ca 4.367 5.294 14.728
Ca 2.198 0.260 10.178
Ca 0.968 6.174 6.839
Ca 4.443 3.106 11.834
Ca 1.202 4.082 13.490
********
**Completed**
Cell and atoms, written as extended XYZ: